(Assignment)
Your job: restate the whole of the notes further down verbatim.

(Material)
********
Structure and calculated X-ray powder pattern of Cs2CuI6N (a PBE-relaxed structure; Cu Kα (λ = 1.5418 Å)).
Intensities are scaled so that the largest is 100.

Main lines, in order of falling intensity (15 to 90 degrees two-theta):
d_spacing  I (rel.)
3.196  100.0
2.768  70.8
1.957  50.4
1.670  29.2
1.598  17.3
1.239  14.6
1.667  14.6
1.270  11.8
1.131  11.2
1.236  7.3

Structure:
```
data_Cs2CuI6N
_space_group_name_H-M_alt 'I 4/m m m'
_space_group_IT_number 139
_space_group_name_Hall '-I 4 2'
_cell_length_a 7.8370
_cell_length_b 7.8370
_cell_length_c 11.0509
_cell_angle_alpha 90.00
_cell_angle_beta 90.00
_cell_angle_gamma 90.00
loop_
_atom_site_label
_atom_site_fract_x
_atom_site_fract_y
_atom_site_fract_z
_atom_site_occupancy
Cs1 0.0000 0.5000 0.2500 1
Cu1 0.0000 0.0000 0.0000 1
I1 0.0000 0.0000 0.2560 1
I2 0.2434 0.2434 0.5000 1
N1 0.0000 0.0000 0.5000 1
```

* * * * *

Diffraction record for CsKPdBr4. The powder X-ray diffraction pattern is computed, not measured: it uses a DFT-relaxed cell (PBE, OQMD) and CuKα.

The 12 most intense peaks (10 to 80 degrees two-theta), sorted by position:
- 2θ 11.87, intensity 72.7
- 2θ 19.27, intensity 36.1
- 2θ 22.27, intensity 50.1
- 2θ 25.30, intensity 100.0
- 2θ 29.56, intensity 45.7
- 2θ 30.86, intensity 46.4
- 2θ 32.83, intensity 95.5
- 2θ 39.12, intensity 29.6
- 2θ 42.85, intensity 25.9
- 2θ 46.25, intensity 30.4
- 2θ 51.96, intensity 45.5
- 2θ 54.26, intensity 22.2

Unit cell a=4.606 b=7.456 c=8.007 alpha=90.00 beta=90.00 gamma=90.00
Positions (direct):
Cs1 0.000 0.000 0.000
K1 0.000 0.500 0.500
Pd1 0.500 0.000 0.500
Br1 0.500 0.237 0.284
Br2 0.500 0.237 0.716
Br3 0.500 0.763 0.284
Br4 0.500 0.763 0.716

***

Diffraction record for Hf3Cu4Bi2Sb2. The powder X-ray diffraction pattern is computed, not measured: it uses a DFT-relaxed cell (PBE, OQMD) and CuKα.

The 12 most intense peaks (10 to 80 degrees two-theta), sorted by position:
- 2θ 15.97, intensity 8.6
- 2θ 20.25, intensity 11.0
- 2θ 24.84, intensity 11.1
- 2θ 28.69, intensity 16.7
- 2θ 28.79, intensity 33.2
- 2θ 41.12, intensity 100.0
- 2θ 50.95, intensity 14.3
- 2θ 59.63, intensity 11.0
- 2θ 67.33, intensity 6.4
- 2θ 67.52, intensity 12.8
- 2θ 74.82, intensity 11.3
- 2θ 74.98, intensity 22.4

Unit cell a=7.614 b=7.614 c=7.614 alpha=131.93 beta=131.93 gamma=70.34
Positions (direct):
Hf1 0.000 0.000 0.000
Hf2 0.250 0.750 0.500
Hf3 0.750 0.250 0.500
Cu1 0.135 0.135 0.517
Cu2 0.382 0.865 0.000
Cu3 0.618 0.618 0.483
Cu4 0.865 0.382 0.000
Bi1 0.000 0.500 0.500
Bi2 0.500 0.000 0.500
Sb1 0.252 0.252 0.000
Sb2 0.748 0.748 0.000

***

Diffraction record for BaHoCuSi3. The powder X-ray diffraction pattern is computed, not measured: it uses a DFT-relaxed cell (PBE, OQMD) and CuKα.

The 12 most intense peaks (10 to 80 degrees two-theta), sorted by position:
- 2θ 24.47, intensity 16.4
- 2θ 25.10, intensity 34.1
- 2θ 31.86, intensity 55.3
- 2θ 32.36, intensity 100.0
- 2θ 40.84, intensity 19.0
- 2θ 43.45, intensity 32.5
- 2θ 44.59, intensity 15.2
- 2θ 48.54, intensity 10.9
- 2θ 55.84, intensity 22.6
- 2θ 61.15, intensity 22.3
- 2θ 62.05, intensity 10.8
- 2θ 72.18, intensity 10.6

Unit cell a=8.513 b=8.335 c=6.004 alpha=70.73 beta=67.54 gamma=41.73
Positions (direct):
Ba1 0.250 0.250 0.250
Ba2 0.750 0.750 0.750
Ho1 0.237 0.763 0.237
Ho2 0.763 0.237 0.763
Cu1 0.338 0.338 0.662
Cu2 0.662 0.662 0.338
Si1 0.158 0.158 0.842
Si2 0.177 0.664 0.823
Si3 0.336 0.823 0.664
Si4 0.664 0.177 0.336
Si5 0.823 0.336 0.177
Si6 0.842 0.842 0.158

***

Diffraction record for Sm2TlFeCu. The powder X-ray diffraction pattern is computed, not measured: it uses a DFT-relaxed cell (PBE, OQMD) and CuKα.

The 12 most intense peaks (10 to 80 degrees two-theta), sorted by position:
- 2θ 28.39, intensity 46.8
- 2θ 32.62, intensity 100.0
- 2θ 34.07, intensity 68.6
- 2θ 36.99, intensity 11.2
- 2θ 37.79, intensity 36.9
- 2θ 43.92, intensity 23.1
- 2θ 47.84, intensity 18.0
- 2θ 54.98, intensity 17.2
- 2θ 56.57, intensity 14.3
- 2θ 56.72, intensity 31.9
********

(Outcome)
Structure and calculated X-ray powder pattern of Cs2CuI6N (a PBE-relaxed structure; Cu Kα (λ = 1.5418 Å)).
Intensities are scaled so that the largest is 100.

Main lines, in order of falling intensity (15 to 90 degrees two-theta):
d_spacing  I (rel.)
3.196  100.0
2.768  70.8
1.957  50.4
1.670  29.2
1.598  17.3
1.239  14.6
1.667  14.6
1.270  11.8
1.131  11.2
1.236  7.3

Structure:
```
data_Cs2CuI6N
_space_group_name_H-M_alt 'I 4/m m m'
_space_group_IT_number 139
_space_group_name_Hall '-I 4 2'
_cell_length_a 7.8370
_cell_length_b 7.8370
_cell_length_c 11.0509
_cell_angle_alpha 90.00
_cell_angle_beta 90.00
_cell_angle_gamma 90.00
loop_
_atom_site_label
_atom_site_fract_x
_atom_site_fract_y
_atom_site_fract_z
_atom_site_occupancy
Cs1 0.0000 0.5000 0.2500 1
Cu1 0.0000 0.0000 0.0000 1
I1 0.0000 0.0000 0.2560 1
I2 0.2434 0.2434 0.5000 1
N1 0.0000 0.0000 0.5000 1
```

* * * * *

Diffraction record for CsKPdBr4. The powder X-ray diffraction pattern is computed, not measured: it uses a DFT-relaxed cell (PBE, OQMD) and CuKα.

The 12 most intense peaks (10 to 80 degrees two-theta), sorted by position:
- 2θ 11.87, intensity 72.7
- 2θ 19.27, intensity 36.1
- 2θ 22.27, intensity 50.1
- 2θ 25.30, intensity 100.0
- 2θ 29.56, intensity 45.7
- 2θ 30.86, intensity 46.4
- 2θ 32.83, intensity 95.5
- 2θ 39.12, intensity 29.6
- 2θ 42.85, intensity 25.9
- 2θ 46.25, intensity 30.4
- 2θ 51.96, intensity 45.5
- 2θ 54.26, intensity 22.2

Unit cell a=4.606 b=7.456 c=8.007 alpha=90.00 beta=90.00 gamma=90.00
Positions (direct):
Cs1 0.000 0.000 0.000
K1 0.000 0.500 0.500
Pd1 0.500 0.000 0.500
Br1 0.500 0.237 0.284
Br2 0.500 0.237 0.716
Br3 0.500 0.763 0.284
Br4 0.500 0.763 0.716

***

Diffraction record for Hf3Cu4Bi2Sb2. The powder X-ray diffraction pattern is computed, not measured: it uses a DFT-relaxed cell (PBE, OQMD) and CuKα.

The 12 most intense peaks (10 to 80 degrees two-theta), sorted by position:
- 2θ 15.97, intensity 8.6
- 2θ 20.25, intensity 11.0
- 2θ 24.84, intensity 11.1
- 2θ 28.69, intensity 16.7
- 2θ 28.79, intensity 33.2
- 2θ 41.12, intensity 100.0
- 2θ 50.95, intensity 14.3
- 2θ 59.63, intensity 11.0
- 2θ 67.33, intensity 6.4
- 2θ 67.52, intensity 12.8
- 2θ 74.82, intensity 11.3
- 2θ 74.98, intensity 22.4

Unit cell a=7.614 b=7.614 c=7.614 alpha=131.93 beta=131.93 gamma=70.34
Positions (direct):
Hf1 0.000 0.000 0.000
Hf2 0.250 0.750 0.500
Hf3 0.750 0.250 0.500
Cu1 0.135 0.135 0.517
Cu2 0.382 0.865 0.000
Cu3 0.618 0.618 0.483
Cu4 0.865 0.382 0.000
Bi1 0.000 0.500 0.500
Bi2 0.500 0.000 0.500
Sb1 0.252 0.252 0.000
Sb2 0.748 0.748 0.000

***

Diffraction record for BaHoCuSi3. The powder X-ray diffraction pattern is computed, not measured: it uses a DFT-relaxed cell (PBE, OQMD) and CuKα.

The 12 most intense peaks (10 to 80 degrees two-theta), sorted by position:
- 2θ 24.47, intensity 16.4
- 2θ 25.10, intensity 34.1
- 2θ 31.86, intensity 55.3
- 2θ 32.36, intensity 100.0
- 2θ 40.84, intensity 19.0
- 2θ 43.45, intensity 32.5
- 2θ 44.59, intensity 15.2
- 2θ 48.54, intensity 10.9
- 2θ 55.84, intensity 22.6
- 2θ 61.15, intensity 22.3
- 2θ 62.05, intensity 10.8
- 2θ 72.18, intensity 10.6

Unit cell a=8.513 b=8.335 c=6.004 alpha=70.73 beta=67.54 gamma=41.73
Positions (direct):
Ba1 0.250 0.250 0.250
Ba2 0.750 0.750 0.750
Ho1 0.237 0.763 0.237
Ho2 0.763 0.237 0.763
Cu1 0.338 0.338 0.662
Cu2 0.662 0.662 0.338
Si1 0.158 0.158 0.842
Si2 0.177 0.664 0.823
Si3 0.336 0.823 0.664
Si4 0.664 0.177 0.336
Si5 0.823 0.336 0.177
Si6 0.842 0.842 0.158

***

Diffraction record for Sm2TlFeCu. The powder X-ray diffraction pattern is computed, not measured: it uses a DFT-relaxed cell (PBE, OQMD) and CuKα.

The 12 most intense peaks (10 to 80 degrees two-theta), sorted by position:
- 2θ 28.39, intensity 46.8
- 2θ 32.62, intensity 100.0
- 2θ 34.07, intensity 68.6
- 2θ 36.99, intensity 11.2
- 2θ 37.79, intensity 36.9
- 2θ 43.92, intensity 23.1
- 2θ 47.84, intensity 18.0
- 2θ 54.98, intensity 17.2
- 2θ 56.57, intensity 14.3
- 2θ 56.72, intensity 31.9